Data
/*
No. 1
Computed, not measured: an optimized crystal structure of Na3Zr2Si2PO12 at the PBE level of DFT.

Structure (CIF):
```
data_Na3Zr2Si2PO12
_chemical_formula_sum 'Na6 Zr4 Si4 P2 O24'
_cell_length_a 9.147
_cell_length_b 9.181
_cell_length_c 9.306
_cell_angle_alpha 89.75
_cell_angle_beta 60.95
_cell_angle_gamma 60.18
_symmetry_space_group_name_H-M 'P 1'
_symmetry_Int_Tables_number 1
loop_
_symmetry_equiv_pos_as_xyz
'x,y,z'
loop_
_atom_site_label
_atom_site_fract_x
_atom_site_fract_y
_atom_site_fract_z
Na1 0.000 0.000 0.000
Na2 0.018 0.781 0.619
Na3 0.204 0.115 0.210
Na4 0.310 0.383 0.793
Na5 0.629 0.498 0.462
Na6 0.652 0.701 0.943
Zr1 0.452 0.946 0.745
Zr2 0.455 0.446 0.245
Zr3 0.855 0.745 0.128
Zr4 0.862 0.240 0.633
Si1 0.371 0.848 0.423
Si2 0.376 0.625 0.929
Si3 0.649 0.057 0.945
Si4 0.940 0.345 0.949
P1 0.666 0.138 0.432
P2 0.937 0.565 0.449
O1 0.136 0.539 0.403
O2 0.157 0.166 0.896
O3 0.159 0.659 0.987
O4 0.160 0.025 0.465
O5 0.358 0.675 0.420
O6 0.360 0.809 0.906
O7 0.414 0.862 0.573
O8 0.429 0.581 0.075
O9 0.500 0.018 0.931
O10 0.500 0.316 0.439
O11 0.518 0.225 0.114
O12 0.554 0.461 0.746
O13 0.558 0.092 0.596
O14 0.561 0.817 0.236
O15 0.760 0.354 0.128
O16 0.767 0.711 0.629
O17 0.781 0.986 0.267
O18 0.782 0.090 0.767
O19 0.820 0.165 0.434
O20 0.827 0.877 0.947
O21 0.886 0.625 0.315
O22 0.898 0.340 0.797
O23 0.948 0.391 0.456
O24 0.952 0.515 0.967
```

Summary:
For the total magnetization, the calculation gives 0.00 μB/cell. The excess energy over the best structure of this formula in the dataset comes out at 7.6 meV/atom. Its crystal system is triclinic.

No. 2
Computed, not measured: an optimized crystal structure of Hf2Si at the PBE level of DFT.

Structure (CIF):
```
data_Hf2Si
_chemical_formula_sum 'Hf8 Si4'
_cell_length_a 6.577
_cell_length_b 6.577
_cell_length_c 5.200
_cell_angle_alpha 90.00
_cell_angle_beta 90.00
_cell_angle_gamma 90.00
_symmetry_space_group_name_H-M 'I 4/m c m'
_symmetry_Int_Tables_number 140
_symmetry_space_group_name_Hall '-I 4 2c'
loop_
_atom_site_label
_atom_site_fract_x
_atom_site_fract_y
_atom_site_fract_z
Hf1 0.157 0.343 0.000
Si1 0.000 0.000 0.250
```

Summary:
Its crystal system is tetragonal.

No. 3
Computed, not measured: an optimized crystal structure of Ba3CaBi2O9 at the PBE level of DFT.

Structure (CIF):
```
data_Ba3CaBi2O9
_chemical_formula_sum 'Ba12 Ca4 Bi8 O36'
_cell_length_a 6.168
_cell_length_b 8.708
_cell_length_c 18.537
_cell_angle_alpha 90.00
_cell_angle_beta 90.00
_cell_angle_gamma 90.00
_symmetry_space_group_name_H-M 'I m m m'
_symmetry_Int_Tables_number 71
_symmetry_space_group_name_Hall '-I 2 2'
loop_
_atom_site_label
_atom_site_fract_x
_atom_site_fract_y
_atom_site_fract_z
Ba1 0.000 0.242 0.000
Ba2 0.000 0.253 0.330
Ca1 0.000 0.000 0.166
Bi1 0.000 0.000 0.500
Bi2 0.000 0.500 0.168
Bi3 0.000 0.500 0.500
O1 0.000 0.245 0.500
O2 0.000 0.262 0.161
O3 0.240 0.500 0.421
O4 0.245 0.500 0.246
O5 0.247 0.000 0.419
```

Summary:
For the total magnetization, the calculation gives 0.00 μB/cell. Its crystal system is orthorhombic.

Uncorrected energy readings, ordered: -7.564; -9.190; -6.011 eV/atom
Energy with MP2020 corrections readings, ordered: -319.0; -110.0; -385.4 eV per cell

* * * * *

Computed, not measured: a relaxed structure of LiAc2Tl at the GGA-PBE level of DFT.

The structure belongs to space group Fm-3m (No. 225); the cell edges are 8.200, 8.200 and 8.200 Å and the angles 90.00°, 90.00° and 90.00°. The distinct sites, in fractional coordinates, are Li at (0.000, 0.000, 0.000), Ac at (0.250, 0.250, 0.250) and Tl at (0.000, 0.000, 0.500).

The calculation puts the energy of formation at -0.17 eV/atom. For the volume, the calculation gives 551.3 Å³/cell.
*/

Job
Please restate the whole of the contents above verbatim.

Response
No. 1
Computed, not measured: an optimized crystal structure of Na3Zr2Si2PO12 at the PBE level of DFT.

Structure (CIF):
```
data_Na3Zr2Si2PO12
_chemical_formula_sum 'Na6 Zr4 Si4 P2 O24'
_cell_length_a 9.147
_cell_length_b 9.181
_cell_length_c 9.306
_cell_angle_alpha 89.75
_cell_angle_beta 60.95
_cell_angle_gamma 60.18
_symmetry_space_group_name_H-M 'P 1'
_symmetry_Int_Tables_number 1
loop_
_symmetry_equiv_pos_as_xyz
'x,y,z'
loop_
_atom_site_label
_atom_site_fract_x
_atom_site_fract_y
_atom_site_fract_z
Na1 0.000 0.000 0.000
Na2 0.018 0.781 0.619
Na3 0.204 0.115 0.210
Na4 0.310 0.383 0.793
Na5 0.629 0.498 0.462
Na6 0.652 0.701 0.943
Zr1 0.452 0.946 0.745
Zr2 0.455 0.446 0.245
Zr3 0.855 0.745 0.128
Zr4 0.862 0.240 0.633
Si1 0.371 0.848 0.423
Si2 0.376 0.625 0.929
Si3 0.649 0.057 0.945
Si4 0.940 0.345 0.949
P1 0.666 0.138 0.432
P2 0.937 0.565 0.449
O1 0.136 0.539 0.403
O2 0.157 0.166 0.896
O3 0.159 0.659 0.987
O4 0.160 0.025 0.465
O5 0.358 0.675 0.420
O6 0.360 0.809 0.906
O7 0.414 0.862 0.573
O8 0.429 0.581 0.075
O9 0.500 0.018 0.931
O10 0.500 0.316 0.439
O11 0.518 0.225 0.114
O12 0.554 0.461 0.746
O13 0.558 0.092 0.596
O14 0.561 0.817 0.236
O15 0.760 0.354 0.128
O16 0.767 0.711 0.629
O17 0.781 0.986 0.267
O18 0.782 0.090 0.767
O19 0.820 0.165 0.434
O20 0.827 0.877 0.947
O21 0.886 0.625 0.315
O22 0.898 0.340 0.797
O23 0.948 0.391 0.456
O24 0.952 0.515 0.967
```

Summary:
For the total magnetization, the calculation gives 0.00 μB/cell. The excess energy over the best structure of this formula in the dataset comes out at 7.6 meV/atom. Its crystal system is triclinic.

No. 2
Computed, not measured: an optimized crystal structure of Hf2Si at the PBE level of DFT.

Structure (CIF):
```
data_Hf2Si
_chemical_formula_sum 'Hf8 Si4'
_cell_length_a 6.577
_cell_length_b 6.577
_cell_length_c 5.200
_cell_angle_alpha 90.00
_cell_angle_beta 90.00
_cell_angle_gamma 90.00
_symmetry_space_group_name_H-M 'I 4/m c m'
_symmetry_Int_Tables_number 140
_symmetry_space_group_name_Hall '-I 4 2c'
loop_
_atom_site_label
_atom_site_fract_x
_atom_site_fract_y
_atom_site_fract_z
Hf1 0.157 0.343 0.000
Si1 0.000 0.000 0.250
```

Summary:
Its crystal system is tetragonal.

No. 3
Computed, not measured: an optimized crystal structure of Ba3CaBi2O9 at the PBE level of DFT.

Structure (CIF):
```
data_Ba3CaBi2O9
_chemical_formula_sum 'Ba12 Ca4 Bi8 O36'
_cell_length_a 6.168
_cell_length_b 8.708
_cell_length_c 18.537
_cell_angle_alpha 90.00
_cell_angle_beta 90.00
_cell_angle_gamma 90.00
_symmetry_space_group_name_H-M 'I m m m'
_symmetry_Int_Tables_number 71
_symmetry_space_group_name_Hall '-I 2 2'
loop_
_atom_site_label
_atom_site_fract_x
_atom_site_fract_y
_atom_site_fract_z
Ba1 0.000 0.242 0.000
Ba2 0.000 0.253 0.330
Ca1 0.000 0.000 0.166
Bi1 0.000 0.000 0.500
Bi2 0.000 0.500 0.168
Bi3 0.000 0.500 0.500
O1 0.000 0.245 0.500
O2 0.000 0.262 0.161
O3 0.240 0.500 0.421
O4 0.245 0.500 0.246
O5 0.247 0.000 0.419
```

Summary:
For the total magnetization, the calculation gives 0.00 μB/cell. Its crystal system is orthorhombic.

Uncorrected energy readings, ordered: -7.564; -9.190; -6.011 eV/atom
Energy with MP2020 corrections readings, ordered: -319.0; -110.0; -385.4 eV per cell

* * * * *

Computed, not measured: a relaxed structure of LiAc2Tl at the GGA-PBE level of DFT.

The structure belongs to space group Fm-3m (No. 225); the cell edges are 8.200, 8.200 and 8.200 Å and the angles 90.00°, 90.00° and 90.00°. The distinct sites, in fractional coordinates, are Li at (0.000, 0.000, 0.000), Ac at (0.250, 0.250, 0.250) and Tl at (0.000, 0.000, 0.500).

The calculation puts the energy of formation at -0.17 eV/atom. For the volume, the calculation gives 551.3 Å³/cell.